232
Properties=species:S:1:pos:R:3 method="wB97M-V/def2-TZVPD" fmax_ha_per_bohr=0.063 smiles=COCCOCCOC.COCCOCCOC.COCCOCCOC.COCCOCCOC.COCCOCCOC.COCCOCCOC.COCCOCCOC.COCCOCCOC.c1ccccc1.c1ccccc1.c1ccccc1.c1ccccc1 de_lowest_kj_mol=114.50 total_charge=0 total_energy_ha=-4630.077168 gap_ev=9.6
C 9.224 19.667 19.193
C 8.818 18.827 20.237
C 8.859 19.281 21.537
C 9.470 20.480 21.841
C 9.840 21.286 20.792
C 9.715 20.922 19.518
H 9.115 19.446 18.141
H 8.373 17.850 20.120
H 8.535 18.518 22.229
H 9.638 20.725 22.879
H 10.322 22.239 20.948
H 10.095 21.489 18.681
C 20.047 22.889 16.021
C 21.020 22.687 16.994
C 20.613 22.682 18.342
C 19.291 23.125 18.625
C 18.355 23.444 17.642
C 18.735 23.217 16.303
H 20.299 22.722 14.985
H 21.999 22.335 16.705
H 21.213 22.430 19.203
H 19.068 23.356 19.657
H 17.309 23.672 17.787
H 18.027 23.327 15.494
C 17.075 25.433 24.303
C 15.765 25.231 23.822
C 14.762 26.208 24.162
C 15.141 27.303 24.886
C 16.458 27.480 25.287
C 17.456 26.552 25.039
H 17.848 24.694 24.156
H 15.473 24.330 23.302
H 13.709 26.088 23.954
H 14.374 28.054 25.010
H 16.824 28.439 25.622
H 18.494 26.700 25.296
C 15.445 22.822 19.768
C 15.209 23.920 20.499
C 13.942 24.448 20.643
C 12.867 23.800 20.106
C 13.108 22.664 19.365
C 14.418 22.198 19.150
H 16.426 22.382 19.666
H 16.052 24.460 20.904
H 13.662 25.306 21.238
H 11.847 24.112 20.275
H 12.303 22.179 18.832
H 14.540 21.258 18.632
C 10.734 29.382 23.104
O 10.232 30.469 22.347
C 11.259 31.442 22.023
C 12.293 31.038 20.991
O 13.203 30.115 21.533
C 14.115 29.524 20.593
C 15.061 28.636 21.408
O 16.072 28.248 20.506
C 17.042 27.324 20.981
H 10.999 29.720 24.106
H 11.606 28.877 22.688
H 9.947 28.635 23.202
H 11.752 31.871 22.895
H 10.656 32.281 21.676
H 12.821 31.863 20.511
H 11.846 30.660 20.072
H 14.645 30.251 19.978
H 13.546 28.966 19.849
H 14.453 27.786 21.718
H 15.346 29.077 22.363
H 17.503 27.693 21.897
H 17.779 27.104 20.209
H 16.578 26.369 21.228
C 16.525 19.313 19.743
O 16.289 19.414 18.400
C 17.494 19.676 17.614
C 17.042 19.902 16.162
O 16.922 18.612 15.491
C 16.575 18.594 14.072
C 16.393 17.163 13.452
O 17.507 16.261 13.492
C 17.674 15.862 14.808
H 15.501 19.290 20.118
H 17.023 20.206 20.120
H 17.081 18.428 20.050
H 18.122 18.798 17.765
H 18.094 20.506 17.988
H 17.746 20.556 15.648
H 16.035 20.320 16.166
H 17.417 19.064 13.564
H 15.635 19.119 13.905
H 16.162 17.198 12.387
H 15.590 16.688 14.015
H 18.313 16.545 15.368
H 18.077 14.850 14.849
H 16.806 15.714 15.450
C 9.205 23.724 31.360
O 9.352 24.869 30.606
C 8.211 25.158 29.743
C 8.469 26.312 28.741
O 9.501 25.902 27.823
C 9.744 26.925 26.783
C 10.625 26.326 25.626
O 9.943 25.511 24.643
C 10.846 24.902 23.712
H 8.928 22.857 30.761
H 8.598 23.905 32.247
H 10.195 23.563 31.787
H 7.333 25.358 30.357
H 8.026 24.267 29.143
H 8.599 27.209 29.347
H 7.526 26.304 28.195
H 10.275 27.717 27.311
H 8.812 27.346 26.406
H 11.417 25.715 26.059
H 11.120 27.068 25.000
H 10.364 24.559 22.796
H 11.500 24.132 24.121
H 11.443 25.715 23.298
C 16.326 11.710 21.752
O 15.531 12.729 21.159
C 14.277 12.922 21.766
C 14.368 13.964 22.876
O 14.324 15.290 22.225
C 14.285 16.284 23.269
C 14.248 17.720 22.630
O 13.019 17.895 21.934
C 13.106 18.999 21.012
H 15.830 10.760 21.552
H 16.350 11.817 22.837
H 17.331 11.609 21.342
H 13.818 12.038 22.208
H 13.520 13.172 21.023
H 15.219 13.825 23.543
H 13.491 13.914 23.522
H 15.208 16.213 23.846
H 13.425 16.248 23.938
H 15.029 17.743 21.869
H 14.371 18.574 23.295
H 13.508 18.903 20.003
H 13.633 19.836 21.470
H 12.102 19.368 20.803
C 9.039 24.497 19.901
O 9.803 25.687 20.125
C 8.956 26.718 20.514
C 9.607 28.059 20.195
O 9.889 28.321 18.829
C 10.934 27.590 18.221
C 11.262 28.282 16.906
O 12.430 29.048 17.077
C 12.769 29.871 15.934
H 9.774 23.734 19.643
H 8.308 24.585 19.098
H 8.441 24.144 20.741
H 8.633 26.642 21.553
H 8.030 26.700 19.939
H 10.542 28.074 20.755
H 8.931 28.835 20.553
H 10.675 26.557 17.988
H 11.823 27.562 18.851
H 10.508 28.960 16.507
H 11.549 27.557 16.144
H 13.248 29.294 15.143
H 13.494 30.625 16.237

Could you find "21.408" and "19.643" in the data above, and type out these two lines and those between?

C 15.061 28.636 21.408
O 16.072 28.248 20.506
C 17.042 27.324 20.981
H 10.999 29.720 24.106
H 11.606 28.877 22.688
H 9.947 28.635 23.202
H 11.752 31.871 22.895
H 10.656 32.281 21.676
H 12.821 31.863 20.511
H 11.846 30.660 20.072
H 14.645 30.251 19.978
H 13.546 28.966 19.849
H 14.453 27.786 21.718
H 15.346 29.077 22.363
H 17.503 27.693 21.897
H 17.779 27.104 20.209
H 16.578 26.369 21.228
C 16.525 19.313 19.743
O 16.289 19.414 18.400
C 17.494 19.676 17.614
C 17.042 19.902 16.162
O 16.922 18.612 15.491
C 16.575 18.594 14.072
C 16.393 17.163 13.452
O 17.507 16.261 13.492
C 17.674 15.862 14.808
H 15.501 19.290 20.118
H 17.023 20.206 20.120
H 17.081 18.428 20.050
H 18.122 18.798 17.765
H 18.094 20.506 17.988
H 17.746 20.556 15.648
H 16.035 20.320 16.166
H 17.417 19.064 13.564
H 15.635 19.119 13.905
H 16.162 17.198 12.387
H 15.590 16.688 14.015
H 18.313 16.545 15.368
H 18.077 14.850 14.849
H 16.806 15.714 15.450
C 9.205 23.724 31.360
O 9.352 24.869 30.606
C 8.211 25.158 29.743
C 8.469 26.312 28.741
O 9.501 25.902 27.823
C 9.744 26.925 26.783
C 10.625 26.326 25.626
O 9.943 25.511 24.643
C 10.846 24.902 23.712
H 8.928 22.857 30.761
H 8.598 23.905 32.247
H 10.195 23.563 31.787
H 7.333 25.358 30.357
H 8.026 24.267 29.143
H 8.599 27.209 29.347
H 7.526 26.304 28.195
H 10.275 27.717 27.311
H 8.812 27.346 26.406
H 11.417 25.715 26.059
H 11.120 27.068 25.000
H 10.364 24.559 22.796
H 11.500 24.132 24.121
H 11.443 25.715 23.298
C 16.326 11.710 21.752
O 15.531 12.729 21.159
C 14.277 12.922 21.766
C 14.368 13.964 22.876
O 14.324 15.290 22.225
C 14.285 16.284 23.269
C 14.248 17.720 22.630
O 13.019 17.895 21.934
C 13.106 18.999 21.012
H 15.830 10.760 21.552
H 16.350 11.817 22.837
H 17.331 11.609 21.342
H 13.818 12.038 22.208
H 13.520 13.172 21.023
H 15.219 13.825 23.543
H 13.491 13.914 23.522
H 15.208 16.213 23.846
H 13.425 16.248 23.938
H 15.029 17.743 21.869
H 14.371 18.574 23.295
H 13.508 18.903 20.003
H 13.633 19.836 21.470
H 12.102 19.368 20.803
C 9.039 24.497 19.901
O 9.803 25.687 20.125
C 8.956 26.718 20.514
C 9.607 28.059 20.195
O 9.889 28.321 18.829
C 10.934 27.590 18.221
C 11.262 28.282 16.906
O 12.430 29.048 17.077
C 12.769 29.871 15.934
H 9.774 23.734 19.643